Support us
Friends in High Places
The aim of Friends in High Places (FiHP) is to provide all manner of support to Edale Mountain Rescue Team (EMRT) allowing team members to focus on helping those in difficulty on the hills.
FiHP members help the team in many ways and volunteers are always welcome. Assistance with fund raising and equipment maintenance. Acting as casualties for team training sessions. Providing administrative support with fund raising, publicity and project management.
If you would like to support Edale MRT, drop us an email!
As a member of FiHP you will receive a Newsletter three times a year to keep you informed of Edale MRT and FiHP activities which you can receive on line which reduces our stationery and postage costs. If you live in or near to the Peak District, depending on your skills and interest, you have the opportunity of supporting Edale MRT in a number of very interesting and practical ways.

You could be a member of the FiHP committee, who work closely with Edale MRT and take part in and help coordinate fund raising activities. Fundraising takes place in many ways, including collecting in supermarkets, street collections and country shows. Very often these are joint Edale MRT / FiHP events. However team members may well be involved in a call out, therefore if FiHP are not there, fundraising stops.
Marshall’s are required at checkpoints during the Annual Nine Edges event in the autumn. Collection Boxes in shops, pubs and cafes need servicing. Individual initiatives include sponsored events and selling home-made jam.

[Calculated molecules, as found in the file]
____________
22
Properties=species:S:1:pos:R:3:forces:R:3 method="wB97M-V/def2-TZVPD" molar_mass_g_mol=261.081 homo_lumo_gap_ev="6.185 / 6.715" charge=+2 homo_energy_ev="-14.54 / -15.01"
C 0.15638 0.58322 -2.35742 -1.111 5.046 -3.582
H 1.99020 -1.93265 4.29045 -0.441 -0.230 -0.386
H 3.63608 -0.41417 3.52164 -0.326 0.074 0.209
O 3.15451 0.08137 -1.50603 -1.880 0.637 1.314
O -2.91079 -0.06149 -0.86418 3.613 1.299 1.624
O 0.53930 -1.83060 1.61600 2.315 1.081 2.130
O 1.99263 -0.17275 1.87212 -0.666 -1.221 0.641
O 0.01594 1.49600 -3.06518 0.681 -4.285 2.969
C 1.56506 -1.34293 2.22614 -1.765 0.883 -2.209
H 4.33771 -1.87181 3.89288 0.026 0.028 0.018
H 0.22962 -1.32219 -1.31689 1.066 -0.977 -0.065
C 2.21432 0.27010 -0.89096 2.616 -0.789 -1.257
Sc 0.28734 0.04908 0.39337 0.214 -1.882 -0.914
H 2.44971 -3.15313 3.04274 0.012 0.457 0.061
C -0.28989 -2.04205 -0.54360 -2.113 0.349 -0.729
O -0.71471 -3.10296 -0.79563 0.942 1.100 0.362
C -0.92582 1.00424 2.16054 -1.751 1.660 5.475
N 3.68426 -1.39994 3.26078 1.188 -0.368 -0.190
H 4.11735 -1.37157 2.32646 -0.135 -0.260 0.214
C 2.35077 -2.07916 3.26401 0.387 0.091 0.426
O -1.33811 1.32958 3.18664 1.481 -1.248 -4.318
C -1.88647 0.22988 -0.42156 -4.354 -1.444 -1.794

47
Properties=species:S:1:pos:R:3:forces:R:3 method="wB97M-V/def2-TZVPD" molar_mass_g_mol=265.300 homo_lumo_gap_ev="9.969 / 6.193" charge=+1 multiplicity=2 homo_energy_ev="-13.99 / -13.98"
H -0.27404 0.31349 -2.99180 1.333 0.164 -0.320
O 0.98761 -2.33164 -2.28196 -1.288 -2.814 1.175
H -1.94807 1.68375 -2.17514 0.269 -0.315 -0.574
H 2.60612 -0.49348 2.63030 2.343 -1.827 -0.652
H 0.98695 -3.37782 -2.17411 -0.062 3.260 -0.453
H -1.42969 -0.96458 -4.00047 -0.932 1.319 -0.824
H 2.11675 1.94629 1.96232 0.233 0.100 -0.182
C -1.19132 0.16100 0.76054 -3.017 0.531 -2.587
O -1.29506 -1.87481 -3.82120 -1.425 -0.455 0.126
C 0.17321 0.81451 -2.12446 -1.569 -0.641 -0.039
O -2.08946 -2.87092 -1.08942 -2.880 2.397 2.440
C -0.67134 -1.06187 1.10435 0.399 -1.601 -0.904
H -1.10956 -0.87525 3.18435 1.793 -0.159 -1.058
H 0.13915 -2.07417 -1.81518 1.322 -0.773 -0.701
H -1.24481 4.28271 1.20518 -0.412 -0.159 0.543
H 1.92529 1.98294 -0.44011 0.952 -0.512 -0.020
O 3.22615 -1.31812 2.41802 -2.583 1.268 0.454
H 0.19061 3.26480 0.43756 -0.118 0.958 0.204
O 0.83573 3.51016 1.11016 0.654 -1.460 0.231
O 2.70175 1.18104 2.03702 -0.943 0.032 1.910
H 0.86815 1.63050 -2.32190 -0.326 -0.019 -0.522
H 3.02508 0.99575 1.16865 0.409 0.463 -0.980
H 4.09967 -1.02559 2.64738 0.654 0.320 0.353
C -1.15841 1.35498 -1.50696 -0.065 0.807 2.168
O 2.72674 -1.08505 -0.21655 0.440 -1.299 -0.141
H -1.75705 -0.55353 -1.10918 -0.205 -0.810 0.138
H 0.76028 0.07219 -1.54105 -0.733 0.456 -0.012
O -1.91098 4.00059 0.57843 0.626 0.804 -1.406
O 2.82727 1.63178 -0.58689 -0.397 -0.289 -0.136
H -3.69775 -1.07640 0.57014 0.003 1.051 -0.937
N -1.77635 0.31043 -0.58088 3.702 0.369 2.073
H -0.45300 -2.36653 2.90081 0.258 -1.944 -0.608
O -3.85649 -1.60116 1.33045 -0.681 -1.475 0.015
H -2.44632 3.31336 0.92709 -0.659 -0.632 0.943
____________
[Back to the entry]

Equipment Maintenance and Vehicles
Equipment night takes place on one Tuesday evening and one Sunday morning each month. Team members use the time to maintain, check and replenish equipment. If you are able to help on equipment nights in a consistent way on a regular basis, you will be most welcome. The team has a dedicated Vehicle Officer, who is a member of FiHPs, whose role it is to maintain and service all of the teams vehicles.

Practice Casualty for First Aid Training
Would you feel comfortable working as a practice casualty in a supported hill environment in all weathers? If you are a hill walker, climber or fell runner, this may be for you. Guidance for the role will be given.

Practice Casualty for Search Dog Training
On some Sunday mornings throughout the year, Search and Rescue Dog Association (SARDA) training takes place in the Peak District and over weekends about once a month in other parts of England in mountain and hill areas. If you are comfortable working with dogs in all weathers, an experienced hill walker, your assistance would be most welcome in this interesting aspect of mountain rescue. The skill, ability and enthusiasm of the dogs will amaze you.

There's always a job to be done!
If you are interested in becoming a Corporate Sponsor please email us.
If you require assistance from Mountain Rescue:
DIAL 999
Ask for Police & Mountain Rescue
Give the operator the exact location of the incident, the nature of any injuries, the number of casualties and your phone number
Stay near your telephone and stay put until told otherwise